What I'm Reading


Tuesday, March 17, 2009

St. Patty's Day

Happy St. Patrick's Day everyone. We don't have much going on today. Yesterday, Sarah was supposed to come over and play with Quinn while Maureen had to do some stuff, but then her plans changed and Sarah didn't come over. I was pretty disappointed. I even bought sidewalk chalk and planned to go outside. It wouldn't have worked anyway because it rained all day. We are all going to the library tomorrow for storytime, so that should be fun. Or crazy, or both!

Bowling last night was a bust. We won our final game but only by three points. Every single one of us sucked. I don't think any of us improved our averages at all. Although Ceal and Alissa pulled out some crazy strikes and spares at the end to save us. We need to get our acts together for next week. I went out Saturday night to bowl with Maureen, Karen, and Bryon (a guy from another team). We had a good time but I didn't do anything special. It was hard to bowl well when no one else paid attention to taking turns. There was absolutely no bowling etiquette there. And if I were the woman playing on the lane next to us, I would have plenty to say for Not Me! Monday, like "I did not take my 10-month-old baby out bowling with me, my pubescent husband, my cigarette-smoking mom, and her butch girlfriend until after midnight. And if I didn't, I wouldn't have let my child sip soda out of my cup." Seriously? I'm by no means a perfect or even great mom, but that's just messed up.

Quinn and I watched the Elmo ("Momo") Potty Time video yesterday over lunch. Oh boy. I guess I need to commit a little more to the potty training thing. Maybe I'll have to break down and buy training pants. I guess I don't take him often enough to try, but it's such a pain taking a diaper off and on. It was kind of funny, though. The movie had some "adult" jokes, like "This episode is brought to you by the letter P and the number 2." Get it? And when Elmo asked Baby Bear if he was potty trained, he said, "Does a bear go potty in the woods?" Hah!

Well, I better go find us some green clothes in case we go out today. I didn't buy Quinn any special St. Patrick's Day clothes this year. I know, big surprise! I did get him an Easter shirt, so you'll see that soon enough. Love, Us.


trishandwade said...

These calculated crystals were left in the piece by mistake:
'''
{
  "formula": "P5Ru3",
  "functional": "PBE-GGA",
  "state": "relaxed",
  "dft_energy_ev_per_atom": -6.755,
  "dos_ef_per_ev_atom": 1.0226,
  "sg": "P6_3/mcm, No. 193",
  "formation_enthalpy_0k_mev_per_atom": 105,
  "cell": [[7.519, 0.000, 0.000], [-3.760, 6.512, 0.000], [0.000, 0.000, 4.707]],
  "species": ["P", "P", "P", "P", "P", "P", "P", "P", "P", "P", "Ru", "Ru", "Ru", "Ru", "Ru", "Ru"],
  "frac_coords": [[0.000, 0.278, 0.250], [0.000, 0.722, 0.750], [0.278, 0.000, 0.250], [0.278, 0.278, 0.750], [0.333, 0.667, 0.000], [0.333, 0.667, 0.500], [0.667, 0.333, 0.000], [0.667, 0.333, 0.500], [0.722, 0.000, 0.750], [0.722, 0.722, 0.250], [0.000, 0.376, 0.750], [0.000, 0.624, 0.250], [0.376, 0.000, 0.750], [0.376, 0.376, 0.250], [0.624, 0.000, 0.250], [0.624, 0.624, 0.750]]
}



{
  "formula": "SiAs2PbBr",
  "functional": "PBE-GGA",
  "state": "relaxed",
  "dft_energy_ev_per_atom": -3.729,
  "formation_energy_uncorrected_mev_per_atom": 291.2,
  "dos_ef_per_ev_atom": 0.8480,
  "sg": "P4/mmm, No. 123",
  "cell": [[4.868, 0.000, 0.000], [0.000, 4.868, 0.000], [0.000, 0.000, 5.292]],
  "species": ["Si", "As", "As", "Pb", "Br"],
  "frac_coords": [[0.000, 0.000, 0.000], [0.000, 0.500, 0.000], [0.500, 0.000, 0.000], [0.500, 0.500, 0.500], [0.000, 0.000, 0.500]]
}



{
  "formula": "InCuHg2",
  "functional": "PBE-GGA",
  "state": "relaxed",
  "dft_energy_ev_per_atom": -1.724,
  "dos_ef_per_ev_atom": 0.4545,
  "sg": "R3m, No. 160",
  "formation_enthalpy_0k_mev_per_atom": 136,
  "cell": [[1.693, 0.977, 8.997], [-1.693, 0.977, 8.997], [0.000, -1.954, 8.997]],
  "species": ["In", "Cu", "Hg", "Hg"],
  "frac_coords": [[0.000, 0.000, 0.000], [0.738, 0.738, 0.738], [0.238, 0.238, 0.238], [0.476, 0.476, 0.476]]
}



{
  "formula": "In2Sb2Te",
  "functional": "PBE-GGA",
  "state": "relaxed",
  "dft_energy_ev_per_atom": -3.308,
  "formation_energy_uncorrected_mev_per_atom": 64.7,
  "dos_ef_per_ev_atom": 0.5274,
  "sg": "P4/mbm, No. 127",
  "cell": [[8.506, 0.000, 0.000], [0.000, 8.506, 0.000], [0.000, 0.000, 4.073]],
  "species": ["In", "In", "In", "In", "Sb", "Sb", "Sb", "Sb", "Te", "Te"],
  "frac_coords": [[0.139, 0.361, 0.000], [0.361, 0.861, 0.000], [0.639, 0.139, 0.000], [0.861, 0.639, 0.000], [0.166, 0.666, 0.500], [0.334, 0.166, 0.500], [0.666, 0.834, 0.500], [0.834, 0.334, 0.500], [0.000, 0.000, 0.500], [0.500, 0.500, 0.500]]
}



{
  "formula": "AcNd6Sm5",
  "functional": "PBE-GGA",
  "state": "relaxed",
  "dft_energy_ev_per_atom": -4.671,
  "dos_ef_per_ev_atom": 1.5447,
  "sg": "C2/m, No. 12",
  "formation_enthalpy_0k_mev_per_atom": 21,
  "cell": [[3.192, -5.531, 0.000], [3.192, 5.531, 0.000], [-2.154, 0.000, 12.041]],
  "species": ["Ac", "Nd", "Nd", "Nd", "Nd", "Nd", "Nd", "Sm", "Sm", "Sm", "Sm", "Sm"],
'''

Wow! That cake is amazing!! I would hire her in a second to make a cake for my special occasion! What talent!

trishandwade said...

-- begin --
Record 1
# BeRe4 | the Alexandria database | PBE | relaxed
# **Formation energy**: 3.2 eV/f.u.
# **Crystal system**: cubic
data_BeRe4
_chemical_formula_sum 'Be1 Re4'
_cell_length_a 4.118
_cell_length_b 4.118
_cell_length_c 4.118
_cell_angle_alpha 90.00
_cell_angle_beta 90.00
_cell_angle_gamma 90.00
_symmetry_space_group_name_H-M 'P m -3 m'
_symmetry_Int_Tables_number 221
_symmetry_space_group_name_Hall '-P 4 2 3'
loop_
_atom_site_label
_atom_site_type_symbol
_atom_site_fract_x
_atom_site_fract_y
_atom_site_fract_z
Be1 Be 0.000 0.000 0.000
Re1 Re 0.000 0.000 0.500
Re2 Re 0.500 0.500 0.500

Record 2
# ZrCo10B3 | the Alexandria database | PBE | relaxed
# **Formation energy**: -3.4 eV/f.u.
# **Crystal system**: cubic
data_ZrCo10B3
_chemical_formula_sum 'Zr8 Co80 B24'
_cell_length_a 10.545
_cell_length_b 10.545
_cell_length_c 10.545
_cell_angle_alpha 90.00
_cell_angle_beta 90.00
_cell_angle_gamma 90.00
_symmetry_space_group_name_H-M 'F m -3 m'
_symmetry_Int_Tables_number 225
_symmetry_space_group_name_Hall '-F 4 2 3'
loop_
_atom_site_label
_atom_site_type_symbol
_atom_site_fract_x
_atom_site_fract_y
_atom_site_fract_z
Zr1 Zr 0.250 0.250 0.250
Co1 Co 0.000 0.168 0.168
Co2 Co 0.114 0.114 0.386
B1 B 0.000 0.000 0.273

Record 3
# Y5ZnAg2 | the Alexandria database | PBE | relaxed
# **Formation energy**: -1.6 eV/f.u.
# **Crystal system**: orthorhombic
data_Y5ZnAg2
_chemical_formula_sum 'Y10 Zn2 Ag4'
_cell_length_a 6.519
_cell_length_b 12.637
_cell_length_c 5.066
_cell_angle_alpha 90.00
_cell_angle_beta 90.00
_cell_angle_gamma 90.00
_symmetry_space_group_name_H-M 'P b a m'
_symmetry_Int_Tables_number 55
loop_
_symmetry_equiv_pos_as_xyz
'x,y,z'
'-x,-y,-z'
'-x,-y,z'
'x,y,-z'
'x+1/2,-y+1/2,-z'
'-x+1/2,y+1/2,z'
'-x+1/2,y+1/2,-z'
'x+1/2,-y+1/2,z'
loop_
_atom_site_label
_atom_site_type_symbol
_atom_site_fract_x
_atom_site_fract_y
_atom_site_fract_z
Y1 Y 0.000 0.000 0.000
Y2 Y 0.145 0.282 0.000
Y3 Y 0.169 0.609 0.500
Zn1 Zn 0.000 0.500 0.000
Ag1 Ag 0.126 0.861 0.500

Record 4
# BaInHgAu | the Alexandria database | PBE | relaxed
# **Formation energy**: -1.7 eV/f.u.
# **Crystal system**: cubic
data_BaInHgAu
_chemical_formula_sum 'Ba4 In4 Hg4 Au4'
_cell_length_a 7.730
_cell_length_b 7.730
_cell_length_c 7.730
_cell_angle_alpha 90.00
_cell_angle_beta 90.00
_cell_angle_gamma 90.00
_symmetry_space_group_name_H-M 'F -4 3 m'
_symmetry_Int_Tables_number 216
_symmetry_space_group_name_Hall 'F -4 2 3'
loop_
_atom_site_label
_atom_site_type_symbol
_atom_site_fract_x
_atom_site_fract_y
_atom_site_fract_z
Ba1 Ba 0.000 0.000 0.000
In1 In 0.000 0.000 0.500
Hg1 Hg 0.250 0.250 0.750
Au1 Au 0.250 0.250 0.250

Record 5
# HfScAlIn | the Alexandria database | PBE | relaxed
# **Formation energy**: -0.8 eV/f.u.
# **Crystal system**: cubic
data_HfScAlIn
_chemical_formula_sum 'Hf4 Sc4 Al4 In4'
_cell_length_a 6.921
_cell_length_b 6.921
_cell_length_c 6.921
_cell_angle_alpha 90.00
_cell_angle_beta 90.00
_cell_angle_gamma 90.00
_symmetry_space_group_name_H-M 'F -4 3 m'
-- stop --

That's so crazy! Whoever left that last comment must've hacked my google account and used my name/login. The nerve!! They are too sweet though, with those nice little encouraging words.